HAGERSTOWN, Md.—Organizers of the “People’s Convoy” have vowed to continue pressing for an end to the national COVID emergency, saying they were in it to play the “long game.”
During speeches at a March 26 rally in Hagerstown, Maryland, co-organizers Brian Brase and Mike Landis said that spending a few days away from Hagerstown Speedway, an auto-racing venue and the temporary campground of truckers, helped bring new perspectives to their missions.
“Being home solidified my reasoning for being here,” Brase said of his short break back home in Ohio over the previous weekend. “It reminded me that I’m doing this for my children.”
“I know that as a human being walking this earth, no government, no company, no one may violate my God-given right!” Brase added.
The co-organizer said he would be happy if he could help ten Americans to notice “the big picture of what’s going on.” He encouraged the audience to “investigate, research, and hold accountable” their elected officials and vote for “God-fearing” men and women during midterms in November.
And Landis, who flew to Orange County, California, to meet with Democratic Congressman Lou Correa (D-Calif.) on March 21, called the meeting “a step in the right direction.”
‘Integrity, Dignity, and Community’
(What comes next are crystal structures, not part of the page)
<<<
Starting from DFT lattice parameters and positions (PBE), the XRD peak list of Tb2Tl4Se5 was calculated for Cu Kα (λ = 1.5418 Å).
Intensities are scaled so that the largest is 100.

Structural model:
Lattice parameters (Å, degrees): 24.282 24.282 24.282 9.96 9.96 9.96
Positions (direct):
Tb 0.142 0.142 0.142
Tb 0.858 0.858 0.858
Tl 0.313 0.313 0.313
Tl 0.413 0.413 0.413
Tl 0.587 0.587 0.587
Tl 0.687 0.687 0.687
Se 0.211 0.211 0.211
Se 0.375 0.375 0.375
Se 0.500 0.500 0.500
Se 0.625 0.625 0.625
Se 0.789 0.789 0.789

Main lines, low angle first (2θ from 15° to 90°):
- 22.08°, intensity 30
- 24.42°, intensity 30
- 24.87°, intensity 30
- 25.86°, intensity 21
- 27.93°, intensity 100
- 33.99°, intensity 24
- 36.74°, intensity 30
- 42.90°, intensity 61
- 43.90°, intensity 32
- 48.75°, intensity 23


The following is a simulated powder XRD pattern of EuMg2Fe. It was derived from a cell relaxed with GGA-PBE, using CuKα.

Top 10 peaks for 2θ = 15–90°, by angle:
- 2θ 21.2, intensity 100
- 2θ 27.5, intensity 43
- 2θ 34.9, intensity 19
- 2θ 37.1, intensity 48
- 2θ 41.2, intensity 38
- 2θ 43.1, intensity 16
- 2θ 51.9, intensity 35
- 2θ 58.2, intensity 18
- 2θ 69.7, intensity 15
- 2θ 77.8, intensity 16

Atomic structure:
abc: 4.842 4.842 5.138
angles: 90.00 90.00 120.00
Fractional coordinates of all 4 atoms:
Eu  0.000  0.000  0.000
Mg  0.333  0.667  0.522
Mg  0.667  0.333  0.478
Fe  0.000  0.000  0.500

The following is a simulated powder XRD pattern of EuFe2P2. It was derived from a cell relaxed with GGA-PBE, using CuKα.

Top 10 peaks for 2θ = 15–90°, by angle:
- 2θ 24.8, intensity 58
- 2θ 33.4, intensity 35
- 2θ 34.4, intensity 86
- 2θ 37.4, intensity 100
- 2θ 47.8, intensity 41
- 2θ 48.7, intensity 18
- 2θ 59.5, intensity 19
- 2θ 60.2, intensity 33
- 2θ 62.3, intensity 33
- 2θ 82.1, intensity 19

Atomic structure:
abc: 6.006 6.006 6.006
angles: 143.05 143.05 53.24
Fractional coordinates of all 5 atoms:
Eu  0.000  0.000  0.000
Fe  0.250  0.750  0.500
Fe  0.750  0.250  0.500
P  0.352  0.352  0.000
P  0.648  0.648  0.000

The following is a simulated powder XRD pattern of EuFe4P12. It was derived from a cell relaxed with GGA-PBE, using CuKα.

Top 10 peaks for 2θ = 15–90°, by angle:
- 2θ 16.0, intensity 45
- 2θ 28.0, intensity 30
- 2θ 32.4, intensity 88
- 2θ 36.4, intensity 100
- 2θ 43.3, intensity 74
- 2θ 46.5, intensity 14
- 2θ 57.8, intensity 61
- 2θ 60.4, intensity 46
- 2θ 77.3, intensity 21
- 2θ 84.0, intensity 15

Atomic structure:
abc: 6.764 6.764 6.764
angles: 109.47 109.47 109.47
Fractional coordinates of all 17 atoms:
Eu  0.000  0.000  0.000
Fe  0.000  0.000  0.500
Fe  0.000  0.500  0.000
Fe  0.500  0.000  0.000
Fe  0.500  0.500  0.500
P  0.151  0.504  0.353
P  0.151  0.798  0.647
P  0.202  0.353  0.849
P  0.353  0.151  0.504
P  0.353  0.849  0.202
P  0.496  0.647  0.849
P  0.504  0.353  0.151
P  0.647  0.151  0.798
P  0.647  0.849  0.496
P  0.798  0.647  0.151
P  0.849  0.202  0.353
P  0.849  0.496  0.647
>>>
(Here the page continues)
Dr. Robert Malone also spoke at the rally and emphasized the “long game.” He described the Convoy’s current pursuit as “one little, tiny battle” in a “total information warfare,” in which those in power are trying to control information relating to COVID-19 for political purposes.Malone is a virologist and immunologist who has contributed significantly to the technology of mRNA vaccines. He is also the chief medical officer of the Unity Project, a movement seeking to resist COVID-19 vaccine mandates for K–12 children.

“There’s no reason for the declaration of emergency because there is no medical emergency,” he told the audience.
The national COVID emergency, which was declared in March 2020 under President Donald Trump, has since been extended twice by President Joe Biden, in February 2021 and this month.
“It’s long been apparent that the U.S. and other Western governments have intentionally used the guise of an overstated public health crisis to justify the suspension of laws and rights that would be enforced without such a crisis, including the federal common rule, which defines the rights of all citizens to informed consent for medical procedures,” he said, adding that “COVID was politicized.”
Reconnecting with God
“This movement has made me a true believer in God. You have shown me God from the groups that pray over me, or [co-organizer] Marcus [Summers], or Mike [Landis], or the Convoy,” Brase told the audience. “Thank you for showing me the way.”The 37-year-old said he had “struggled” with his relationship with God up until recently.
He had questioned “why” and wavered between believing and not believing during difficult moments in life. The significant events he mentioned included the death of his grandfather, the difficulty of making ends meet, and his son’s suicide six months ago.
“What this movement has done, why this movement has been so successful, is because of God,” said Brase, adding, “I have felt my grandfather and my son here with me through this.”

Laura Kasner drove from Ohio in the morning to attend the rally and would head back immediately afterward. It hailed three times over the afternoon of the rally, two before and one during. “That’s God, letting us know that he’s here,” she told The Epoch Times.
To Kasner, the People’s Convoy means “getting the truth out there.”
“I think a lot of people are still asleep, and they need to wake up. And I pray every day that that happens. But I think the tide is turning. I think people are starting to understand what’s at risk,” she said.
Next Steps
The U.S. Senate passed a resolution to end the national COVID emergency on March 3. However, the House version has been with the House Transportation and Infrastructure Committee since May 2021.
Landis urged the hundreds of people on-site and the audience over livestream to call their representatives in Congress and ask them to support the petition.
He previously told The Epoch Times that the People’s Convoy’s extended its contract with Hagerstown Speedway to the end of the week without providing a specific date. Members of the convoy mentioned either March 30 or 31. Regardless, the venue may not be available for much longer, as the race season has begun.
Dr. Paul Alexander, chief scientific officer of the Unity Project, spoke of one possibility of the future direction. He told the audience, “We’re going to turn this convoy into the most political powerhouse. It already is.”
“Go back to your states and hold firm. Tell them what you saw. Activate your states,” he added.